Request:
Your job: duplicate the lines further down from the one with "(-1.05295, 0.76692," to the one with "orbital energy" character by character.
Input:
<<<
1.
C39H55B2F4N8O7P2STi | ωB97M-V/def2-TZVPD

Positions of all 119 atoms, in Å:
H (1.61908, 0.10002, -4.53967)
C (4.44948, -4.43624, 0.02950)
C (3.83481, 2.98027, -0.31025)
H (-1.97369, -4.85288, -1.30338)
H (3.27644, 0.42512, 0.81070)
C (-1.48453, -4.25421, -0.52867)
H (0.21541, -2.50858, 2.73816)
O (-7.86676, 2.04961, -0.43998)
H (-4.17387, -1.31148, 2.74639)
H (-0.06383, -3.97906, 1.81012)
H (0.87049, 1.61503, -4.01161)
C (-1.70147, -1.24961, 3.96592)
O (-5.01465, 0.40042, -4.04434)
N (0.91861, 2.21798, 1.97811)
C (-2.49858, -3.93769, 0.58116)
C (4.09500, -3.26759, -0.63208)
O (-7.03009, 2.36273, 1.52292)
H (-3.59393, -5.08661, 2.07803)
C (2.89448, -2.65438, -0.29839)
F (-1.69823, -1.85812, -3.29110)
H (-2.17819, -3.44878, 5.17798)
C (-0.42899, 5.56919, 1.59834)
H (2.38694, 3.52942, -3.14656)
H (2.48414, -1.16568, -2.85747)
H (-3.60579, -2.79586, -0.89928)
H (5.16800, 1.10487, -3.89175)
C (-5.63356, 1.58976, -0.13511)
O (-2.93251, 0.87266, -3.75976)
H (-1.04735, -4.05113, 3.96399)
C (4.16646, 1.56633, -0.81243)
C (1.35292, 1.43387, 2.96733)
C (-2.74357, -5.19991, 1.40285)
C (-0.08265, -2.89000, 1.76027)
H (-1.52903, 7.05794, 0.43879)
H (5.61852, 2.33960, -2.25983)
H (-2.27834, -0.94732, 4.84511)
C (-1.65864, 5.31214, -1.75823)
N (-4.04826, 0.64356, -3.34511)
H (2.87760, 2.98585, 0.20817)
C (-5.49399, 1.24472, -1.46558)
C (2.42872, -4.36532, 1.35588)
C (1.39019, 3.21768, 4.51025)
C (5.53714, 1.57971, -1.48369)
P (2.66342, 1.01774, -1.82781)
H (-4.32244, -4.36827, -0.52031)
O (-2.18714, 1.98169, 2.11629)
H (1.88813, 1.57304, -5.45424)
N (-2.19866, 1.29511, 1.07187)
C (-2.39478, -2.45044, 3.29138)
H (-4.66676, 1.96681, 1.73921)
N (0.88875, -2.45678, 0.76038)
S (-0.21886, 2.80580, -1.21821)
C (-2.07154, -3.70059, 4.11722)
C (3.02427, 1.50447, -3.62435)
C (3.20056, 3.02853, -3.68119)
H (-0.63024, -4.82562, -0.15603)
H (3.97970, -1.03804, -1.93725)
C (-0.39943, 4.02249, -0.04977)
N (0.00536, 4.28290, 1.25742)
C (-3.21060, 0.53562, -0.99683)
C (1.76944, 1.17272, -4.44205)
B (-0.36905, -1.64788, -3.50079)
H (4.19636, 1.03869, -5.35879)
B (0.97504, -1.35501, -0.18954)
C (0.62845, 3.46354, 2.26036)
H (4.12545, -0.29114, -4.20680)
H (-4.25844, -2.08717, 4.33717)
O (-2.18512, -0.20440, -1.31993)
N (-6.94220, 2.03529, 0.35193)
C (2.91380, -0.81794, -1.91625)
H (-4.44868, -3.05729, 2.87126)
H (1.49679, 0.39366, 2.70096)
N (2.28551, -1.51689, -0.80523)
C (4.25447, 0.61825, 0.38731)
H (1.80070, -4.79671, 2.12490)
C (3.63034, -4.97573, 1.01610)
F (0.00479, -1.45010, -4.79098)
H (-0.26437, 6.00370, 2.56298)
C (4.20593, 0.79496, -4.29132)
H (-2.75274, -4.52163, 3.90820)
H (-1.94104, 6.35529, -1.88034)
P (-1.85244, -2.40828, 1.47833)
F (0.42649, -2.55224, -2.82008)
C (-1.06573, 6.09224, 0.55420)
H (-2.53658, 4.67295, -1.84603)
C (-3.91012, -2.21277, 3.30713)
H (4.88152, 1.06715, 1.16530)
H (-1.11066, -3.34958, -1.00601)
C (-4.27461, 0.77705, -1.89612)
H (3.92348, -5.89425, 1.50969)
H (1.60387, 3.63547, 5.48574)
H (-0.95810, 5.02121, -2.53488)
H (-4.49686, -3.02137, 0.61791)
N (-1.04500, 5.15297, -0.44869)
H (4.60947, 3.32808, 0.38280)
Ti (-0.42924, 0.09895, -0.88530)
H (-2.97727, -6.01948, 0.71494)
H (4.74246, -2.86357, -1.39989)
H (-0.69622, -1.50788, 4.30578)
C (-3.81387, -3.49954, -0.09016)
H (6.29070, 1.80909, -0.72200)
C (2.05828, -3.21230, 0.67618)
C (-3.33761, 1.11717, 0.29431)
O (-1.05295, 0.76692, 0.64545)
H (4.14972, 3.35939, -3.25675)
H (-1.86490, -5.49459, 1.98218)
H (4.70288, -0.33949, 0.11037)
F (-0.01822, -0.24934, -2.68918)
C (0.88261, 4.02554, 3.51307)
H (5.37151, -4.93881, -0.23324)
H (-6.30880, 1.35956, -2.16621)
H (1.95719, 1.19793, 5.01297)
H (3.16990, 3.35659, -4.72448)
H (3.77275, 3.69589, -1.13281)
H (5.78858, 0.60498, -1.90931)
H (0.70361, 5.06453, 3.73195)
C (-4.55925, 1.59775, 0.73054)
H (-1.62354, -0.38042, 3.30999)
C (1.59787, 1.87586, 4.24970)

## Properties
highest occupied orbital energy (alpha / beta) = -7.589 / -7.927 eV
net charge = 0
frontier orbital gap (alpha / beta) = 6.64 / 6.91 eV
multiplicity = 2

***
>>>
Written answer:
O (-1.05295, 0.76692, 0.64545)
H (4.14972, 3.35939, -3.25675)
H (-1.86490, -5.49459, 1.98218)
H (4.70288, -0.33949, 0.11037)
F (-0.01822, -0.24934, -2.68918)
C (0.88261, 4.02554, 3.51307)
H (5.37151, -4.93881, -0.23324)
H (-6.30880, 1.35956, -2.16621)
H (1.95719, 1.19793, 5.01297)
H (3.16990, 3.35659, -4.72448)
H (3.77275, 3.69589, -1.13281)
H (5.78858, 0.60498, -1.90931)
H (0.70361, 5.06453, 3.73195)
C (-4.55925, 1.59775, 0.73054)
H (-1.62354, -0.38042, 3.30999)
C (1.59787, 1.87586, 4.24970)

## Properties
highest occupied orbital energy (alpha / beta) = -7.589 / -7.927 eV